## Request
Now return the whole of the calculation results further below unchanged.

## File
********
Calculated powder XRD pattern
Compound: CeBrO
Radiation: Cu Kα
Structure: a DFT-relaxed cell (GGA-PBE, the Materials Project)
Kinematic intensities with the Lorentz-polarization factor, no thermal factor.

Main lines, low angle first (2θ from 10° to 90°):
| Position (°2θ) | d_spacing | intensity |
| --- | --- | --- |
| 26.4 | 3.374 | 53 |
| 29.7 | 3.007 | 100 |
| 33.1 | 2.705 | 44 |
| 35.5 | 2.531 | 19 |
| 39.5 | 2.283 | 19 |
| 41.9 | 2.158 | 12 |
| 45.4 | 1.998 | 47 |
| 55.2 | 1.664 | 21 |
| 58.9 | 1.568 | 26 |
| 74.2 | 1.279 | 16 |

```
CeBrO
1.0
1.9977 1.1534 10.1233
-1.9977 1.1534 10.1233
0.0000 -2.3068 10.1233
Ce Br O
2 2 2
Cartesian
0.0000 0.0000 6.5318
0.0000 0.0000 23.8381
0.0000 0.0000 11.7299
0.0000 0.0000 18.6400
0.0000 0.0000 4.1707
0.0000 0.0000 26.1992
```

----------

# Sr7Br
Theoretical X-ray powder pattern, Cu Kα (weighted mean of Kα1 and Kα2). Input: a GGA-PBE-relaxed structure.
Kinematic intensities with the Lorentz-polarization factor, no thermal factor.

Crystal structure
Lattice parameters (Å, degrees): 8.340 8.340 8.340 60.00 60.00 60.00
Fractional positions:
Sr 0.000 0.000 0.000
Sr 0.000 0.000 0.500
Sr 0.000 0.500 0.000
Sr 0.000 0.500 0.500
Sr 0.500 0.000 0.000
Sr 0.500 0.000 0.500
Sr 0.500 0.500 0.000
Br 0.500 0.500 0.500

The 6 most intense peaks (2θ = 5–70°), by angle:
d/Å  I (rel.)
3.405  100
2.948  51
2.085  38
1.778  46
1.702  13
1.353  19
********

## Solution
Calculated powder XRD pattern
Compound: CeBrO
Radiation: Cu Kα
Structure: a DFT-relaxed cell (GGA-PBE, the Materials Project)
Kinematic intensities with the Lorentz-polarization factor, no thermal factor.

Main lines, low angle first (2θ from 10° to 90°):
| Position (°2θ) | d_spacing | intensity |
| --- | --- | --- |
| 26.4 | 3.374 | 53 |
| 29.7 | 3.007 | 100 |
| 33.1 | 2.705 | 44 |
| 35.5 | 2.531 | 19 |
| 39.5 | 2.283 | 19 |
| 41.9 | 2.158 | 12 |
| 45.4 | 1.998 | 47 |
| 55.2 | 1.664 | 21 |
| 58.9 | 1.568 | 26 |
| 74.2 | 1.279 | 16 |

```
CeBrO
1.0
1.9977 1.1534 10.1233
-1.9977 1.1534 10.1233
0.0000 -2.3068 10.1233
Ce Br O
2 2 2
Cartesian
0.0000 0.0000 6.5318
0.0000 0.0000 23.8381
0.0000 0.0000 11.7299
0.0000 0.0000 18.6400
0.0000 0.0000 4.1707
0.0000 0.0000 26.1992
```

----------

# Sr7Br
Theoretical X-ray powder pattern, Cu Kα (weighted mean of Kα1 and Kα2). Input: a GGA-PBE-relaxed structure.
Kinematic intensities with the Lorentz-polarization factor, no thermal factor.

Crystal structure
Lattice parameters (Å, degrees): 8.340 8.340 8.340 60.00 60.00 60.00
Fractional positions:
Sr 0.000 0.000 0.000
Sr 0.000 0.000 0.500
Sr 0.000 0.500 0.000
Sr 0.000 0.500 0.500
Sr 0.500 0.000 0.000
Sr 0.500 0.000 0.500
Sr 0.500 0.500 0.000
Br 0.500 0.500 0.500

The 6 most intense peaks (2θ = 5–70°), by angle:
d/Å  I (rel.)
3.405  100
2.948  51
2.085  38
1.778  46
1.702  13
1.353  19